Shop For Aquarium Shrimp Specie For Your Tank
There are larger species of aquarium shrimp to shop offered by the aquarium hobbyists, including those aquatic fish breeders. These live fishes add beautification inside the house as a part of the decoratives. If you loom for different species of this live fish, shop aquarium shrimp singapore comes into varieties:
- Ghost
- Amano
Attached: records of crystals:
<<<
Computed powder diffraction line list
Compound: CoTeIr
Radiation: Cu Ka
Structure: the PBE geometry in Alexandria

Top 6 peaks for 15 to 90 degrees two-theta, by angle:
d/Å, Position (°2θ), I/Imax
3.370, 26.45, 61
2.594, 34.58, 36
2.157, 41.87, 58
2.111, 42.84, 100
2.020, 44.87, 66
1.431, 65.21, 33

Crystal structure
```
6
Lattice="8.125 0.000 0.000 0.000 1.911 3.569 0.000 -1.911 3.569" Properties=species:S:1:pos:R:3 pbc="T T T"
Co 0.000 0.000 0.000
Co 4.062 0.000 1.821
Te 2.493 0.000 4.587
Te 5.632 0.000 4.587
Ir 1.289 0.000 2.312
Ir 6.836 0.000 2.312
```

---

Computed powder diffraction line list
Compound: Na4BeAlSi4ClO12
Radiation: Cu Ka
Structure: the PBE geometry in Alexandria

Top 6 peaks for 15 to 90 degrees two-theta, by angle:
d/Å, Position (°2θ), I/Imax
3.645, 24.42, 100
3.631, 24.52, 62
2.576, 34.83, 26
2.383, 37.75, 18
2.101, 43.05, 22
2.098, 43.11, 13

Crystal structure
```
46
Lattice="4.437 -6.336 0.000 4.437 6.336 0.000 -0.013 0.000 12.614" Properties=species:S:1:pos:R:3 pbc="T T T"
Na 4.430 5.678 6.307
Na 2.980 3.004 10.020
Na 3.311 3.371 2.057
Na 4.189 0.891 6.143
Na 4.182 -0.891 12.450
Na 2.987 -3.004 3.713
Na 3.304 -3.371 8.365
Na 4.437 -5.678 0.000
Be 1.457 1.540 7.647
Be 1.464 -1.540 1.340
Al 6.003 1.542 10.887
Al 6.010 -1.542 4.580
Si 1.521 1.651 4.539
Si 1.515 -1.651 10.846
Si 3.637 0.045 9.212
Si 3.643 -0.045 2.904
Si 5.844 1.689 1.465
Si 5.837 -1.689 7.772
Si 8.203 0.106 2.997
Si 8.196 -0.106 9.304
Cl 5.921 3.179 6.132
Cl 5.915 -3.179 12.439
O 1.141 1.354 6.058
O 4.593 5.372 2.151
O 4.636 4.939 9.864
O 1.135 -1.354 12.365
O 2.729 0.591 4.127
O 2.816 0.707 8.012
O 2.723 -0.591 10.434
O 2.822 -0.707 1.704
O 4.523 1.245 2.360
O 4.594 1.153 9.922
O 6.091 3.236 1.777
O 6.480 3.185 10.490
O 5.520 1.251 12.545
O 4.516 -1.245 8.667
O 4.601 -1.153 3.615
O 5.527 -1.251 6.238
O 7.154 0.810 1.932
O 7.415 0.538 10.579
O 7.147 -0.810 8.239
O 7.421 -0.538 4.272
O 4.643 -4.939 3.557
O 4.586 -5.372 8.458
O 6.084 -3.236 8.084
O 6.487 -3.185 4.183
```

---

Computed powder diffraction line list
Compound: Tb6NiHg3
Radiation: Cu Ka
Structure: the PBE geometry in Alexandria

Top 6 peaks for 15 to 90 degrees two-theta, by angle:
d/Å, Position (°2θ), I/Imax
2.908, 30.75, 81
2.585, 34.70, 100
2.415, 37.23, 19
1.931, 47.05, 15
1.548, 59.72, 14
1.492, 62.23, 12

Crystal structure
```
20
Lattice="8.968 0.000 0.000 0.000 11.470 0.000 0.000 0.000 5.164" Properties=species:S:1:pos:R:3 pbc="T T T"
Tb 0.090 2.703 0.000
Tb 1.402 0.926 2.582
Tb 1.667 4.763 2.582
Tb 2.817 10.499 0.000
Tb 3.082 6.661 0.000
Tb 4.394 8.438 2.582
Tb 4.574 3.032 2.582
Tb 5.886 4.809 0.000
Tb 6.151 0.972 0.000
Tb 7.301 6.707 2.582
Tb 7.567 10.545 2.582
Tb 8.879 8.768 0.000
Ni 0.000 0.000 0.000
Ni 4.484 5.735 2.582
Hg 0.000 5.735 0.000
Hg 1.391 8.343 2.582
Hg 3.093 2.607 0.000
Hg 4.484 0.000 2.582
Hg 5.875 8.863 0.000
Hg 7.577 3.128 2.582
```

---

Computed powder diffraction line list
Compound: Pm2Ho2Mg
Radiation: Cu Ka
Structure: the PBE geometry in Alexandria
>>>
- Bamboo shrimp
These varieties can be kept in aquariums for 10 to 55 gallons, while for aquariums of 10 gallons or less, the best live shrimps are:
- Red cherry
- Crystal
- Bee shrimp
When using a canister filter or HOB (hang-on), slide a sponge pre-filter on the intake screen to keep shrimp from being sucked into the filter. The dedicated shrimp breeders use air-driven sponge filters. The live plants are suggested, particularly species, such as:
- Java moss
- Najas
The substrate must be inert (pH neutral) or an aquatic plant medium. There are several substrate materials, designed specifically for dwarf freshwater shrimp. Mature aquariums are preferable, they are more stable and have natural food sources for shrimp. Don’t place dwarf freshwater shrimp in a new set-up aquarium.
Freshwater shrimp behavior!
-- Calculated crystals, kept here for reference --
- - -
No. 1
Diffraction record for Li3La2BeNi12. The powder diffractogram is computed, not measured: it uses a crystal structure in Alexandria, relaxed with PBE and Cu Kα X-rays.

Lattice parameters (Å, degrees): 6.0239 6.0239 24.5810 90.00 90.00 120.00
Space group R-3m (No. 166, hexagonal axes)
Inequivalent atoms, fractional coordinates:
Li  0.0000  0.5000  0.0000 (multiplicity 9)
La  0.0000  0.0000  0.1579 (multiplicity 6)
Be  0.0000  0.0000  0.5000 (multiplicity 3)
Ni  0.0654  0.5327  0.0984 (multiplicity 18)
Ni  0.0726  0.5363  0.6136 (multiplicity 18)

Most intense lines, 2θ from 10° to 90°, by angle:
2θ (°), d_spacing, I (rel.)
10.80, 8.194, 29
17.38, 5.103, 27
30.69, 2.913, 25
31.65, 2.827, 52
33.86, 2.648, 28
37.05, 2.427, 50
37.46, 2.401, 100
40.57, 2.224, 44
46.65, 1.947, 53
57.58, 1.601, 40

No. 2
Diffraction record for Ac6YHo2. The powder diffractogram is computed, not measured: it uses a crystal structure in Alexandria, relaxed with PBE and Cu Kα X-rays.

Lattice parameters (Å, degrees): 16.181 9.495 9.967 90.00 100.75 90.00
Space group C2/c (No. 15)
Inequivalent atoms, fractional coordinates:
Ac  0.106  0.189  0.116 (multiplicity 8)
Ac  0.119  0.433  0.826 (multiplicity 8)
Ac  0.134  0.219  0.507 (multiplicity 8)
Y  0.000  0.094  0.750 (multiplicity 4)
Ho  0.219  0.079  0.846 (multiplicity 8)

Most intense lines, 2θ from 10° to 90°, by angle:
2θ (°), d_spacing, I (rel.)
22.37, 3.974, 59
26.15, 3.408, 48
27.09, 3.291, 31
28.47, 3.135, 79
28.62, 3.119, 57
29.42, 3.036, 61
29.86, 2.992, 100
31.99, 2.798, 62
36.86, 2.438, 34
55.98, 1.643, 28

No. 3
Diffraction record for CsTh4Cu3Te12. The powder diffractogram is computed, not measured: it uses a crystal structure in Alexandria, relaxed with PBE and Cu Kα X-rays.

Lattice parameters (Å, degrees): 11.276 11.276 11.276 90.00 90.00 90.00
Space group Im-3 (No. 204)
Inequivalent atoms, fractional coordinates:
Cs  0.000  0.000  0.000 (multiplicity 2)
Th  0.250  0.250  0.250 (multiplicity 8)
Cu  0.000  0.000  0.500 (multiplicity 6)
Te  0.000  0.160  0.329 (multiplicity 24)

Most intense lines, 2θ from 10° to 90°, by angle:
2θ (°), d_spacing, I (rel.)
15.72, 5.638, 26
22.30, 3.987, 61
24.97, 3.566, 81
29.64, 3.014, 40
31.74, 2.819, 25
35.61, 2.521, 44
39.14, 2.302, 100
46.99, 1.934, 23
51.24, 1.783, 28
70.92, 1.329, 40

No. 4
Diffraction record for PmDy3In4. The powder diffractogram is computed, not measured: it uses a crystal structure in Alexandria, relaxed with PBE and Cu Kα X-rays.

Lattice parameters (Å, degrees): 10.709 7.531 5.354 90.00 90.00 90.00
Space group Pmma (No. 51)
Inequivalent atoms, fractional coordinates:
Pm  0.000  0.000  0.000 (multiplicity 2)
Dy  0.000  0.500  0.000 (multiplicity 2)
Dy  0.250  0.000  0.499 (multiplicity 2)
Dy  0.250  0.500  0.498 (multiplicity 2)
In  0.000  0.255  0.500 (multiplicity 4)
In  0.250  0.255  0.998 (multiplicity 4)

Most intense lines, 2θ from 10° to 90°, by angle:
2θ (°), d_spacing, I (rel.)
33.53, 2.672, 100
48.06, 1.893, 12
48.34, 1.883, 6
- - -
Dwarf shrimp are active and always engaged in harvesting algae and other food sources. Most species stay small, so they are powerless to predation by the larger fish. Many shrimp lovers set up dedicated shrimp aquariums without fish, but some species of freshwater shrimp are kept with small and non-aggressive fish, such as:
- Boraras rasboras
- Blue-eyed rainbowfish
- Celestial danios
- Emerald dwarf rasboras
- Otocinclus
- Ember tetras
- Endlers livebearers
- Pygmy corydoras catfish
- Sparkling gouramis
Dwarf freshwater shrimp kept with Nerite and other snail species. Prevent from combining different species of similar genus of dwarf freshwater shrimp in the same aquarium to keep cross-breeding. Never keep two different species of the Neocaridina together, but you can mix the Neocaridina with Caridina.
Freshwater shrimp water requirements
If you plan to put dwarf freshwater shrimp, you must know the water requirements as they vary among species. Although nitrites and ammonia must always be undetectable, the nitrates must be below 10 ppm. The three aquarium shrimp are not particular of pH or alkalinity, the extremes are avoided and kept in dechlorinated tap water, including red cherry shrimp, such as:
- Ghost shrimp
- Amano
- Bamboo shrimp
Most bee and crystal shrimp require low-pH water, while the Caridina shrimp need higher pH and alkalinity, along with higher temperatures. You can search for the water requirements of the species intended to keep before buying them.